By Tyler Norris
Almost three decades ago, while serving at the National Civic League helping grow the healthy communities movement under the leadership of the late John Parr and Chris Gates, we pioneered new approaches to improve health and quality of life by actively engaging community residents alongside civic leaders in the public, private, and non-profit sectors.
Former San Antonio Mayor and Housing and Urban Development Secretary Henry Cisneros was the League board chair when he wrote an article for the National Civic Review in which he advanced the theme of “citizen democracy.” Building on the mandate of the League founders in the previous century, and his predecessor-chair HEW Secretary and Independent Sector founder John Gardner, Secretary Cisneros articulated the viewpoint that representative democracy could work at the national level, but that at the local level, community residents needed to be directly engaged, debating the issues, finding solutions, and working alongside elected and civic officials to get the right things done, the right way.
At the time, public-private partnerships and blue-ribbon panels were all the rage. But what Secretary Cisneros hit on was the missing factor: community residents using asset-based approaches to shape the conversation and lead action on the ground. Out of this work a new generation of inclusive civic activism was initiated, and the healthy/sustainable/resilient communities movement soon spread to over 1,000 locales. (For more information on the history of the movement, see this National Civic Review article.)
In the twentieth century, lifespans increased by nearly 23 years. An incredible gain, even as profound disparities persisted by race, ethnicity and class. Now, the nation faces a renewed challenge, as lifespans have reversed and are now getting shorter, driven primarily by increases in the diseases and deaths of despair.
Almost as if a healthy immune response, once again we see a new generation of civic engagement emerging—in the face of toxic federal partisanship and leadership dysfunction. Communities and regions are coming together to creatively address the underlying causality, building trans-partisan alliances and co-benefit partnerships that cross differences of party, ideology, geography and demographics to implement common-sense actions that benefit people’s lives.
If ever there was a critical time for the mission of the National Civic League, it is now. To further the work started by NCL and building on the healthy communities and related social movements, Well Being Trust is supporting the development of work around the nation aimed at reversing these recent trends — and creating vibrant communities that assure equitable opportunity for all to realize their fullest potential for well-being.
Now being advanced by more than 75 diverse communities and national organizations – this work for Well Being in the Nation is rooted in seven vital conditions for intergenerational health and well-being: Humane Housing; Basic Needs for Health and Safety; Reliable Transportation; Belonging and Civic Muscle; Stable Environment; Meaningful Work and Wealth; and Lifelong Learning.
[Next to the article, the page also holds crystal structures]
........
! PBE-GGA CaY7Ho2, optimized geometry; values from VASP
! Magnetization   0.0 μB/cell
! SG   P-1 (2)
! Formation enthalpy at 0 K   5.6 kJ per mole of atoms
! Fermi-level density of states   1.611 states/eV/atom
&SYSTEM
  ibrav = 0, nat = 10, ntyp = 3
/
ATOMIC_SPECIES
Ca 40.08 Ca.upf
Y 88.91 Y.upf
Ho 164.93 Ho.upf
CELL_PARAMETERS angstrom
6.208 0.000 0.000
1.043 6.122 0.000
3.076 2.609 8.605
ATOMIC_POSITIONS crystal
Ca 0.000 0.000 0.000
Y 0.203 0.001 0.595
Y 0.311 0.499 0.897
Y 0.394 0.000 0.206
Y 0.500 0.500 0.500
Y 0.606 0.000 0.794
Y 0.689 0.501 0.103
........
[End of the crystal structures]
From Seattle to Atlanta, and Pine Ridge to New York City, signs of promise emerge—and the national partisan divide fades away in routine community life, especially where people work together to address common challenges with practical solutions. Well Being Trust is actively partnering and investing to deepen these connections — convening for shared learning; building relationships and alliances; and elevating community successes.
Underneath these proof-points of possibility, and essential to turning the tide on the diseases and deaths of despair, is a more personal element—the question of who we must be as humans in relationship to each other. This includes “being there” for one another; serving whenever and wherever we can; and, for those of us in leadership roles, holding ourselves and our organizations accountable for impact at scale.
We must turn to one another
Every one of us is touched by suffering and every one of us is essential to the solution. There’s no clinical protocol, no community program, no governmental policy, no philanthropic grant that can substitute for compassionate care and radical inclusion. Recovery and well-being begin with each of us.
In one recent nationwide study from Cigna, nearly 50 percent of respondents reported that they feel alone or left out always or sometimes. So, check in with the people in your life, the people you see every day. Ask someone how they’re doing. Ask them how they’re really doing.
We must serve where we are
Every day, we are given opportunities in our communities to serve. In our homes, in our schools and workplaces, in faith settings, and in neighborhood gathering places, we can work together to ensure every person experiences inclusion, meaningful opportunities, and pathways to realize their fullest potential.
We must hold ourselves accountable to impact
Good intentions are valuable, but we have reached the point where we must not only do good things—we must be accountable for outcomes. This is especially the case for those of us with leadership roles in philanthropy, government, health care, business, community development, and the civic sphere—who are given the privilege and power to ensure that organizational practices, the public policies we support, and the way we invest support well-being for all. We must apply our actions with sufficient dose and comprehensiveness to have a population level impact. The age of tinkering must end as we all step up and lead with courage.
In short, to turn the tide on poor health outcomes as we approach our 250th birthday as a nation—we must bring ourselves, our organizations, and our communities fully to bear—to ensure that all the actors and forces of change are working together to produce the vital conditions that allow everyone to be well and thrive.
Tyler Norris, MDiv is CEO Well Being Trust. From 1990-1995, he led Civic Assistance at the National Civic League.